Request:
The reader should retype the material below without altering anything.
Data:
=====
Record 1
Entry from the Open Molecules 2025 dataset: a molecular structure, C22H28F30KN5O26S10 at a distorted geometry (the ωB97M-V functional and the def2-TZVPD basis).

charge = -4
Kohn-Sham gap = 7.828 eV
HOMO energy = -2.1 eV
LUMO level = 0.210 Eh

XYZ file:
```
122
Properties=species:S:1:pos:R:3:mulliken_charge:R:1
K 18.051 25.841 12.190 0.996
C 18.343 29.457 13.132 0.700
F 17.032 29.526 12.989 -0.218
F 18.929 28.710 12.212 -0.248
F 18.842 30.693 13.018 -0.259
S 18.895 28.783 14.810 0.707
O 20.096 29.517 15.007 -0.648
O 17.863 29.012 15.777 -0.516
N 18.999 27.165 14.383 -0.209
S 19.913 26.455 15.464 0.814
O 21.108 25.856 14.953 -0.731
O 20.083 27.221 16.665 -0.681
C 18.762 25.021 15.917 0.644
F 18.643 24.178 14.869 -0.109
F 19.305 24.326 16.924 -0.253
F 17.571 25.484 16.262 -0.113
C 17.754 17.385 12.488 0.689
F 16.518 17.818 12.621 -0.231
F 18.602 18.204 13.080 -0.193
F 17.829 16.191 13.132 -0.290
S 18.205 17.162 10.708 1.045
O 18.309 18.504 10.238 -0.536
O 19.417 16.401 10.581 -0.698
N 16.888 16.328 10.214 -0.420
S 17.195 15.935 8.690 1.046
O 17.572 17.017 7.816 -0.654
O 17.933 14.725 8.495 -0.678
C 15.531 15.523 7.995 0.608
F 15.727 15.244 6.701 -0.238
F 14.990 14.416 8.541 -0.254
F 14.641 16.504 8.082 -0.219
C 20.904 25.832 10.469 0.636
F 22.170 25.792 10.070 -0.246
F 20.477 24.621 10.803 -0.158
F 20.782 26.657 11.495 -0.215
S 19.832 26.310 8.968 0.928
O 20.598 27.338 8.355 -0.631
O 19.629 25.081 8.280 -0.657
N 18.281 26.750 9.628 -0.332
S 17.936 28.043 8.763 0.886
O 18.586 29.273 9.120 -0.639
O 17.843 27.783 7.353 -0.667
C 16.184 28.269 9.310 0.593
F 15.712 29.428 8.851 -0.232
F 15.430 27.272 8.851 -0.193
F 16.100 28.291 10.646 -0.230
C 14.979 25.398 13.524 0.239
F 15.201 26.544 12.868 0.111
F 15.994 25.218 14.380 0.063
F 13.857 25.505 14.211 -0.138
S 14.834 23.932 12.342 0.794
O 14.131 22.943 13.074 -0.611
O 14.162 24.510 11.221 -0.640
N 16.437 23.661 11.999 -0.008
S 16.735 22.125 12.283 0.371
O 16.782 21.727 13.671 -0.286
O 16.041 21.220 11.425 -0.599
C 18.508 21.999 11.776 0.397
F 18.679 22.267 10.493 -0.212
F 19.191 22.922 12.509 -0.218
F 19.024 20.804 12.056 -0.039
C 7.992 25.625 14.747 0.615
F 8.020 26.409 15.817 -0.240
F 7.134 24.604 14.939 -0.241
F 7.498 26.356 13.730 -0.246
S 9.682 24.973 14.305 0.988
O 10.168 24.434 15.536 -0.668
O 9.460 24.079 13.236 -0.589
N 10.470 26.367 14.014 -0.400
S 10.621 26.556 12.434 1.088
O 11.494 25.608 11.807 -0.569
O 9.444 26.846 11.654 -0.657
C 11.663 28.078 12.399 0.571
F 11.828 28.492 11.146 -0.218
F 11.120 29.085 13.122 -0.263
F 12.864 27.851 12.952 -0.102
C 14.859 29.112 15.319 -0.466
O 13.905 28.752 16.289 -0.522
C 14.479 28.010 17.332 -0.076
C 15.510 28.807 18.136 -0.527
O 15.377 28.572 19.545 -0.475
C 16.041 27.418 19.976 -0.126
C 15.251 26.657 21.017 -0.583
O 14.969 27.445 22.156 -0.319
C 14.302 26.738 23.149 -0.740
H 15.514 29.909 15.689 0.462
H 14.358 29.464 14.421 0.229
H 15.494 28.252 15.069 -0.084
H 14.973 27.127 16.896 0.058
H 13.672 27.722 18.002 0.366
H 15.301 29.875 18.009 0.354
H 16.544 28.699 17.797 0.453
H 17.059 27.606 20.339 0.285
H 16.127 26.678 19.163 0.159
H 15.914 25.815 21.299 0.351
H 14.365 26.166 20.596 0.355
H 13.879 25.775 22.851 0.345
H 13.527 27.373 23.589 0.229
H 14.966 26.481 23.998 0.243
C 22.169 18.870 18.940 -0.824
O 20.999 19.296 18.323 -0.225
C 20.775 18.676 17.079 -0.773
C 19.783 19.458 16.256 0.100
O 18.515 19.346 16.830 -0.430
C 17.555 20.082 16.046 0.345
C 16.205 20.078 16.669 -0.561
O 16.216 20.817 17.859 -0.269
C 14.955 20.901 18.476 -0.781
H 22.157 17.792 19.169 0.308
H 22.239 19.407 19.892 0.247
H 23.102 19.106 18.407 0.315
H 20.296 17.702 17.263 0.302
H 21.697 18.569 16.497 0.407
H 19.798 19.024 15.248 0.176
H 20.100 20.512 16.267 0.200
H 17.583 19.778 15.001 0.065
H 17.917 21.120 16.104 -0.065
H 15.839 19.046 16.807 0.279
H 15.539 20.523 15.914 0.408
H 14.160 21.142 17.768 0.337
H 15.046 21.731 19.186 0.214
H 14.753 20.017 19.097 0.260
```

Record 2
=====
Done:
Record 1
Entry from the Open Molecules 2025 dataset: a molecular structure, C22H28F30KN5O26S10 at a distorted geometry (the ωB97M-V functional and the def2-TZVPD basis).

charge = -4
Kohn-Sham gap = 7.828 eV
HOMO energy = -2.1 eV
LUMO level = 0.210 Eh

XYZ file:
```
122
Properties=species:S:1:pos:R:3:mulliken_charge:R:1
K 18.051 25.841 12.190 0.996
C 18.343 29.457 13.132 0.700
F 17.032 29.526 12.989 -0.218
F 18.929 28.710 12.212 -0.248
F 18.842 30.693 13.018 -0.259
S 18.895 28.783 14.810 0.707
O 20.096 29.517 15.007 -0.648
O 17.863 29.012 15.777 -0.516
N 18.999 27.165 14.383 -0.209
S 19.913 26.455 15.464 0.814
O 21.108 25.856 14.953 -0.731
O 20.083 27.221 16.665 -0.681
C 18.762 25.021 15.917 0.644
F 18.643 24.178 14.869 -0.109
F 19.305 24.326 16.924 -0.253
F 17.571 25.484 16.262 -0.113
C 17.754 17.385 12.488 0.689
F 16.518 17.818 12.621 -0.231
F 18.602 18.204 13.080 -0.193
F 17.829 16.191 13.132 -0.290
S 18.205 17.162 10.708 1.045
O 18.309 18.504 10.238 -0.536
O 19.417 16.401 10.581 -0.698
N 16.888 16.328 10.214 -0.420
S 17.195 15.935 8.690 1.046
O 17.572 17.017 7.816 -0.654
O 17.933 14.725 8.495 -0.678
C 15.531 15.523 7.995 0.608
F 15.727 15.244 6.701 -0.238
F 14.990 14.416 8.541 -0.254
F 14.641 16.504 8.082 -0.219
C 20.904 25.832 10.469 0.636
F 22.170 25.792 10.070 -0.246
F 20.477 24.621 10.803 -0.158
F 20.782 26.657 11.495 -0.215
S 19.832 26.310 8.968 0.928
O 20.598 27.338 8.355 -0.631
O 19.629 25.081 8.280 -0.657
N 18.281 26.750 9.628 -0.332
S 17.936 28.043 8.763 0.886
O 18.586 29.273 9.120 -0.639
O 17.843 27.783 7.353 -0.667
C 16.184 28.269 9.310 0.593
F 15.712 29.428 8.851 -0.232
F 15.430 27.272 8.851 -0.193
F 16.100 28.291 10.646 -0.230
C 14.979 25.398 13.524 0.239
F 15.201 26.544 12.868 0.111
F 15.994 25.218 14.380 0.063
F 13.857 25.505 14.211 -0.138
S 14.834 23.932 12.342 0.794
O 14.131 22.943 13.074 -0.611
O 14.162 24.510 11.221 -0.640
N 16.437 23.661 11.999 -0.008
S 16.735 22.125 12.283 0.371
O 16.782 21.727 13.671 -0.286
O 16.041 21.220 11.425 -0.599
C 18.508 21.999 11.776 0.397
F 18.679 22.267 10.493 -0.212
F 19.191 22.922 12.509 -0.218
F 19.024 20.804 12.056 -0.039
C 7.992 25.625 14.747 0.615
F 8.020 26.409 15.817 -0.240
F 7.134 24.604 14.939 -0.241
F 7.498 26.356 13.730 -0.246
S 9.682 24.973 14.305 0.988
O 10.168 24.434 15.536 -0.668
O 9.460 24.079 13.236 -0.589
N 10.470 26.367 14.014 -0.400
S 10.621 26.556 12.434 1.088
O 11.494 25.608 11.807 -0.569
O 9.444 26.846 11.654 -0.657
C 11.663 28.078 12.399 0.571
F 11.828 28.492 11.146 -0.218
F 11.120 29.085 13.122 -0.263
F 12.864 27.851 12.952 -0.102
C 14.859 29.112 15.319 -0.466
O 13.905 28.752 16.289 -0.522
C 14.479 28.010 17.332 -0.076
C 15.510 28.807 18.136 -0.527
O 15.377 28.572 19.545 -0.475
C 16.041 27.418 19.976 -0.126
C 15.251 26.657 21.017 -0.583
O 14.969 27.445 22.156 -0.319
C 14.302 26.738 23.149 -0.740
H 15.514 29.909 15.689 0.462
H 14.358 29.464 14.421 0.229
H 15.494 28.252 15.069 -0.084
H 14.973 27.127 16.896 0.058
H 13.672 27.722 18.002 0.366
H 15.301 29.875 18.009 0.354
H 16.544 28.699 17.797 0.453
H 17.059 27.606 20.339 0.285
H 16.127 26.678 19.163 0.159
H 15.914 25.815 21.299 0.351
H 14.365 26.166 20.596 0.355
H 13.879 25.775 22.851 0.345
H 13.527 27.373 23.589 0.229
H 14.966 26.481 23.998 0.243
C 22.169 18.870 18.940 -0.824
O 20.999 19.296 18.323 -0.225
C 20.775 18.676 17.079 -0.773
C 19.783 19.458 16.256 0.100
O 18.515 19.346 16.830 -0.430
C 17.555 20.082 16.046 0.345
C 16.205 20.078 16.669 -0.561
O 16.216 20.817 17.859 -0.269
C 14.955 20.901 18.476 -0.781
H 22.157 17.792 19.169 0.308
H 22.239 19.407 19.892 0.247
H 23.102 19.106 18.407 0.315
H 20.296 17.702 17.263 0.302
H 21.697 18.569 16.497 0.407
H 19.798 19.024 15.248 0.176
H 20.100 20.512 16.267 0.200
H 17.583 19.778 15.001 0.065
H 17.917 21.120 16.104 -0.065
H 15.839 19.046 16.807 0.279
H 15.539 20.523 15.914 0.408
H 14.160 21.142 17.768 0.337
H 15.046 21.731 19.186 0.214
H 14.753 20.017 19.097 0.260
```

Record 2